Activity =
Next, work out how many lines further down have the word "all" in them; a number is enough.

Given =
/*
No. 1
ORCA calculation (ωB97M-V/def2-TZVPD) on a structure of composition C32H62BF3O34P3S3.

## Properties
**LUMO**: 1.7067 eV
**E_tot**: -6358.31277 a.u.
**Total charge**: -1
**E_HOMO**: -8.1 eV

Last column: Mulliken charge in e.
Positions of all 138 atoms, in Å:
O (0.7048, -4.1192, 1.9212)  -0.614
C (0.6361, -3.0971, 1.3381)  0.272
O (0.1225, -2.8866, 0.1429)  -0.502
B (0.2281, -1.4282, -0.1581)  1.032
O (1.1697, -0.9175, 0.8290)  0.054
C (1.2831, -1.7837, 1.8386)  0.421
O (1.8301, -1.5801, 2.8751)  -0.635
O (-0.9928, -0.6237, -0.2945)  -0.442
C (-1.0723, -0.0502, -1.4851)  0.850
O (-1.8601, 0.7348, -1.8435)  -0.622
C (0.1346, -0.5515, -2.3174)  0.241
O (0.8429, -1.3081, -1.5125)  -0.710
O (0.3538, -0.3172, -3.4452)  -0.666
C (2.2885, 1.8683, 0.1886)  -0.226
C (3.7752, 1.7466, -0.1172)  -0.603
O (4.0665, 0.3998, -0.5051)  -0.317
C (3.9798, 0.0984, -1.7620)  0.535
O (3.6760, 0.8443, -2.6242)  -0.513
C (4.4526, -1.3358, -2.0611)  0.839
F (5.2717, -1.3453, -3.1233)  -0.268
F (5.0789, -1.8917, -1.0490)  -0.300
F (3.3696, -2.0347, -2.2760)  -0.109
H (1.9600, 0.9663, 0.6906)  -0.230
H (1.7694, 1.9341, -0.7775)  0.202
H (2.0185, 2.8134, 0.6576)  0.560
H (4.3255, 2.0290, 0.7818)  0.372
H (4.1651, 2.3859, -0.9117)  0.364
C (-0.3815, -7.1518, 1.2583)  -0.114
C (-1.2107, -6.4172, 2.3666)  -0.030
O (-2.4096, -7.2021, 2.5389)  -0.370
S (-2.2645, -8.6198, 1.8049)  1.075
O (-3.4384, -9.1052, 1.2082)  -0.533
O (-1.5710, -9.4847, 2.6891)  -0.563
O (-1.3127, -8.0535, 0.6714)  -0.312
H (0.5540, -7.5222, 1.6775)  0.227
H (-0.0843, -6.4751, 0.4619)  0.186
H (-1.4398, -5.4190, 2.0135)  0.098
H (-0.6481, -6.4432, 3.2958)  0.332
C (-2.7450, -5.3130, -3.0567)  -0.112
C (-3.4720, -6.6367, -3.2787)  -0.466
O (-3.4558, -6.8210, -4.6910)  -0.353
S (-1.9785, -6.4180, -5.2342)  1.096
O (-2.0630, -5.7375, -6.4537)  -0.507
O (-1.1296, -7.5277, -4.9937)  -0.548
O (-1.7538, -5.2944, -4.1080)  -0.193
H (-2.2888, -5.3246, -2.0778)  0.218
H (-3.3953, -4.4703, -3.3062)  0.225
H (-4.5047, -6.6371, -2.9461)  0.321
H (-2.9105, -7.4496, -2.8071)  0.334
C (-5.5159, 0.0385, -0.9069)  -0.407
C (-4.8882, 0.9594, 0.1441)  0.154
O (-5.6600, 2.1571, 0.1123)  -0.068
S (-6.5625, 2.1992, -1.2175)  1.083
O (-6.3250, 3.3761, -1.9504)  -0.571
O (-7.8706, 1.8319, -0.8264)  -0.607
O (-5.8139, 1.0010, -1.9304)  -0.332
H (-6.4122, -0.4873, -0.5780)  0.315
H (-4.7677, -0.6863, -1.2151)  0.302
H (-3.8272, 1.1734, 0.0334)  -0.180
H (-4.9422, 0.4922, 1.1338)  0.321
C (2.1589, 1.0674, 9.2970)  -1.190
C (1.0298, 1.7460, 8.5659)  0.016
O (1.3412, 3.1425, 8.3479)  -0.336
P (1.9557, 3.6916, 7.0153)  0.575
O (3.4038, 3.5179, 6.8524)  -0.768
O (1.1191, 2.9350, 5.8956)  0.051
C (1.8713, 2.2345, 4.8620)  -0.301
C (0.8853, 1.6488, 3.8957)  -0.787
O (1.4850, 5.1814, 6.9671)  -0.326
C (2.4023, 6.2619, 6.6695)  -0.239
C (2.9003, 6.9171, 7.9404)  -1.148
H (2.4780, 1.7711, 10.0721)  0.294
H (1.8380, 0.0904, 9.6565)  0.390
H (3.0926, 0.9166, 8.7501)  0.295
H (0.7837, 1.2606, 7.6140)  0.147
H (0.0843, 1.7540, 9.1096)  0.331
H (2.7070, 2.7280, 4.3743)  0.356
H (2.2776, 1.3979, 5.4385)  0.315
H (0.2135, 0.9082, 4.3200)  0.329
H (0.3459, 2.3590, 3.2575)  0.223
H (1.3988, 1.1244, 3.0768)  0.085
H (3.2430, 5.8439, 6.1245)  0.306
H (1.7736, 6.9410, 6.1055)  0.369
H (2.4979, 6.5609, 8.8868)  0.286
H (3.9778, 6.7652, 8.0901)  0.337
H (2.8428, 8.0073, 7.8907)  0.344
C (3.2091, 0.7823, -5.8214)  -0.937
C (3.9389, -0.4736, -6.3256)  0.232
O (3.2249, -0.9082, -7.5338)  -0.360
P (3.4681, -2.3614, -8.1449)  0.729
O (2.8292, -2.5512, -9.4360)  -0.798
O (5.0383, -2.5377, -8.1770)  -0.327
C (5.8524, -2.9988, -7.0798)  0.182
C (6.5025, -4.3226, -7.4282)  -1.340
O (3.0073, -3.4215, -7.0513)  -0.119
C (1.7625, -3.3274, -6.3179)  0.120
C (1.3804, -4.7245, -5.8714)  -1.061
H (3.8300, 1.4468, -5.2232)  0.284
H (2.5998, 1.2932, -6.5528)  0.390
H (2.5551, 0.3451, -5.0578)  -0.003
H (4.9240, -0.2346, -6.7370)  0.259
H (3.9835, -1.1975, -5.5159)  0.111
H (6.6144, -2.2517, -6.8820)  0.360
H (5.1717, -3.1402, -6.2437)  0.146
*/

Solution =
1